Listing =
No. 1
# Ba3Ag2SnS6 | the Alexandria database | PBE | relaxed
data_Ba3Ag2SnS6
_chemical_formula_sum 'Ba3 Ag2 Sn1 S6'
_cell_length_a 7.3975
_cell_length_b 7.3975
_cell_length_c 7.6776
_cell_angle_alpha 90.00
_cell_angle_beta 90.00
_cell_angle_gamma 120.00
_space_group_name_H-M_alt 'P 1'
_space_group_IT_number 1
loop_
_space_group_symop_operation_xyz
'x,y,z'
loop_
_atom_site_label
_atom_site_type_symbol
_atom_site_fract_x
_atom_site_fract_y
_atom_site_fract_z
S1 S 0.3310 0.1655 0.6959
S2 S 0.6690 0.8345 0.3041
Sn1 Sn 0.0000 0.0000 0.5000
Ba1 Ba 0.3333 0.6667 0.6119
S3 S 0.8345 0.6690 0.6959
S4 S 0.1655 0.3310 0.3041
S5 S 0.8345 0.1655 0.6959
S6 S 0.1655 0.8345 0.3041
Ag1 Ag 0.3333 0.6667 0.1413
Ba2 Ba 0.0000 0.0000 0.0000
Ag2 Ag 0.6667 0.3333 0.8587
Ba3 Ba 0.6667 0.3333 0.3881
# E in eV per atom: -4.302
# Energy relative to the elements, uncorrected in eV/atom: -0.95
# D(E_F) in states/eV per cell: 3.4
# Calculated volume in Å³ per cell: 363.86
# SG: P-3m1, No. 164

***

No. 2
# HoEr2Ni | the Alexandria database | PBE | relaxed
data_HoEr2Ni
_chemical_formula_sum 'Ho2 Er4 Ni2'
_cell_length_a 3.6007
_cell_length_b 6.2072
_cell_length_c 9.4603
_cell_angle_alpha 90.00
_cell_angle_beta 90.00
_cell_angle_gamma 106.85
_space_group_name_H-M_alt 'P 1'
_space_group_IT_number 1
loop_
_space_group_symop_operation_xyz
'x,y,z'
loop_
_atom_site_label
_atom_site_type_symbol
_atom_site_fract_x
_atom_site_fract_y
_atom_site_fract_z
Er1 Er 0.6368 0.2733 0.0699
Ni1 Ni 0.2374 0.4747 0.2500
Ni2 Ni 0.7626 0.5253 0.7500
Er2 Er 0.3632 0.7267 0.9301
Er3 Er 0.3632 0.7267 0.5699
Er4 Er 0.6368 0.2733 0.4301
Ho1 Ho 0.9187 0.8373 0.2500
Ho2 Ho 0.0813 0.1627 0.7500
# E in eV per atom: -5.102
# D(E_F) in states/eV per cell: 11.5
# Relative energy among the computed polymorphs in meV per atom: 34.5
# Calculated volume in Å³ per cell: 202.36
# SG: Cmcm, No. 63
# ΔE_f in eV/atom: -0.23

***

No. 3
# K2SiGeN | the Alexandria database | PBE | relaxed
data_K2SiGeN
_chemical_formula_sum 'K2 Si1 Ge1 N1'
_cell_length_a 6.7145
_cell_length_b 3.3703
_cell_length_c 6.7145
_cell_angle_alpha 90.00
_cell_angle_beta 90.00
_cell_angle_gamma 90.00
_space_group_name_H-M_alt 'P 1'
_space_group_IT_number 1
loop_
_space_group_symop_operation_xyz
'x,y,z'
loop_
_atom_site_label
_atom_site_type_symbol
_atom_site_fract_x
_atom_site_fract_y
_atom_site_fract_z
Si1 Si 0.0000 0.0000 0.0000
Ge1 Ge 0.5000 0.5000 0.5000
K1 K 0.5000 0.0000 0.0000
N1 N 0.0000 0.5000 0.0000
K2 K 0.0000 0.0000 0.5000
# E in eV per atom: -3.723
# Energy relative to the elements, uncorrected in eV/atom: 0.39
# D(E_F) in states/eV per cell: 5.1
# Calculated volume in Å³ per cell: 151.95
# SG: P4/mmm, No. 123

***

no.,density (Mg/m³)
1,4.284
2,9.160
3,2.108

=====

Compound: PaCl3
Source: the Alexandria database
Functional: PBE
Structure: optimized geometry

a = 7.1582 Å, b = 7.1582 Å, c = 6.8803 Å
α = 90.00°, β = 90.00°, γ = 120.00°
Fractional coordinates of all 8 atoms:
Pa  0.0000  0.0000  0.0000
Pa  0.0000  0.0000  0.5000
Cl  0.0000  0.3015  0.2500
Cl  0.0000  0.6985  0.7500
Cl  0.3015  0.0000  0.2500
Cl  0.3015  0.3015  0.7500
Cl  0.6985  0.0000  0.7500
Cl  0.6985  0.6985  0.2500

Values from the calculation:
M_tot   0.4920 μB per atom
Energy relative to the elements, uncorrected   -1691.7 meV per atom
E_tot   -5.45 eV/atom
V   38.17 Å³/atom

---

Compound: CdRu

What to do =
Restate every line further above that contains the word "all", please.

Worked solution =
Fractional coordinates of all 8 atoms: